Friday 27 March 2009

Top Secret and Confidential


Anonymous said...

Funny! When did you write this?????? It was hard to read the last sheet because I could not make it bigger by ckicking on it.

Hope all is well I have not heard from you in a while :)

Lynn said...

Dear Cynthia (can I call you Cyndi?): does it make you feel any better when I reveal that 99.9 percent of the books I listed at GR were ones I read in high school and college? Because all I read now are rose catalogs and the labels on homeopathic remedies for my catarrhal children.

Friends 4 Ever (and your handwriting is super cool!!!!!)

Anonymous said...

Hmmm. I don't know whether to ask you to be my friend or not, Cynthia.

Anonymous said...

If you wish to collect your childhood and adolescent books at any time to do the necessary revision we still have them stored here at the mill!

Gina said...

Come back Alice... don't go to Bhutan... we'll miss you!

Anonymous said...

Does this mean that I have to dust down my Mrs Beeton or Constance Spry ? Or my notes from the "Getting to Grips in the Kitchen" cookery course which I attended at about the same time as Fatal Attraction came out.

Bhutan sounds very vegetarian to me

kristina said...

I'm very relieved to know all those books on Lynn's list are from high school and college because my 40 were looking pretty slim compared to her 241!

And I think Alice suits you much better than Cynthia :)

K x

kristina said...

And please don't move to Bhutan...

K x

Allison said...

You are a riot, Alice. I mean Cynthia.

driftwood said...

Dear Cynthia, I so like having you as a friend. Your 0 books makes me feel so much better than the 6660 that other people have..... and I feel that you will be much less appalled by my reading of escapist "chick lit" books....

if you do go to Bhutan please can I come and visit occasionally.

dottycookie said...

Dear Cynthia, Now I know you're on Goodreads can I come and be your friend too? I do have some books listed, but I am slightly worried that people who like the books I have rated 1 star might track me down and bash me over the head with them till I say I really, really liked them ...

Anonymous said...

Dear Cynthia,
I have just visited "Good Reads", some people list, cookbooks, beading, aromatherapy, health & beauty, household etc. as their "reads".

No need to pack for Bhutan then.

Calculated molecules from another source follow =
The following is a DFT calculation (ωB97M-V/def2-TZVPD) of a cluster of 6 separate species, C24H65N8O7 in total.

Last columns: bonded neighbours and bond lengths (Å).
Element x y z (Å)
1 O 1.015 3.640 -1.175  N2 1.154
2 N 1.405 3.689 -0.090  O1 1.154, O3 1.454
3 O 1.348 2.359 0.492  N2 1.454, C4 1.386
4 C 2.550 1.909 1.014  O3 1.386, C5 1.522, N9 1.497, H10 1.083
5 C 3.237 2.822 2.020  C4 1.522, N6 1.464, H11 1.089, H12 1.082
6 N 4.594 3.191 1.612  C5 1.464, C7 1.457, H13 1.011
7 C 4.665 3.663 0.236  N6 1.457, C8 1.528, H14 1.089, H15 1.081
8 C 4.275 2.550 -0.735  C7 1.528, N9 1.495, H16 1.078, H17 1.081
9 N 3.479 1.471 -0.076  C4 1.497, C8 1.495, H18 1.026, H19 1.024
10 H 2.288 1.011 1.559  C4 1.083
11 H 2.602 3.685 2.216  C5 1.089
12 H 3.324 2.261 2.941  C5 1.082
13 H 4.947 3.898 2.242  N6 1.011
14 H 4.074 4.563 0.072  C7 1.089
15 H 5.695 3.914 0.025  C7 1.081
16 H 5.146 2.142 -1.223  C8 1.078
17 H 3.649 2.985 -1.501  C8 1.081
18 H 2.961 0.915 -0.764  N9 1.026
19 H 4.135 0.818 0.363  N9 1.024
20 C -1.327 -0.448 -4.360  C21 1.525, H26 1.089, H27 1.091, H28 1.091
21 C -1.136 0.436 -3.132  C20 1.525, C22 1.535, N25 1.466, H29 1.094
22 C -2.191 1.542 -2.990  C21 1.535, O23 1.412, H30 1.095, H31 1.097
23 O -2.011 2.642 -3.856  C22 1.412, C24 1.419
24 C -2.515 2.472 -5.172  O23 1.419, H32 1.093, H33 1.092, H34 1.089
25 N 0.228 0.975 -3.137  C21 1.466, H35 1.017, H36 1.017
26 H -1.004 0.047 -5.275  C20 1.089
27 H -0.735 -1.360 -4.262  C20 1.091
28 H -2.372 -0.739 -4.477  C20 1.091
29 H -1.236 -0.208 -2.253  C21 1.094
30 H -2.112 1.955 -1.979  C22 1.095
31 H -3.206 1.136 -3.087  C22 1.097
32 H -3.424 1.866 -5.178  C24 1.093
33 H -1.767 2.021 -5.828  C24 1.092
34 H -2.752 3.460 -5.562  C24 1.089
35 H 0.379 1.477 -2.266  N25 1.017
36 H 0.271 1.702 -3.847  N25 1.017
37 C 3.408 0.619 6.381  C38 1.525, H43 1.089, H44 1.091, H45 1.091
38 C 2.290 1.541 5.908  C37 1.525, C39 1.535, N42 1.471, H46 1.095
39 C 1.224 1.831 6.973  C38 1.535, O40 1.411, H47 1.094, H48 1.097
40 O 0.315 0.774 7.192  C39 1.411, C41 1.419
41 C 0.764 -0.249 8.066  O40 1.419, H49 1.093, H50 1.092, H51 1.089
42 N 1.693 0.983 4.685  C38 1.471, H52 1.018, H53 1.017
43 H 3.091 -0.422 6.421  C37 1.089
44 H 4.256 0.669 5.697  C37 1.091
45 H 3.762 0.906 7.372  C37 1.091
46 H 2.748 2.502 5.650  C38 1.095
47 H 0.614 2.668 6.622  C39 1.094
48 H 1.683 2.146 7.918  C39 1.097
49 H 1.395 0.152 8.863  C41 1.093
50 H 1.306 -1.027 7.523  C41 1.092
51 H -0.116 -0.706 8.515  C41 1.089
52 H 1.017 1.650 4.319  N42 1.018
53 H 1.120 0.190 4.961  N42 1.017
54 C 0.986 -3.634 0.477  C55 1.525, H60 1.090, H61 1.090, H62 1.091
55 C 0.105 -2.779 -0.427  C54 1.525, C56 1.535, N59 1.468, H63 1.094
56 C -0.544 -3.555 -1.581  C55 1.535, O57 1.415, H64 1.095, H65 1.097
57 O 0.332 -3.853 -2.652  C56 1.415, C58 1.420
58 C 1.157 -4.991 -2.452  O57 1.420, H66 1.094, H67 1.092, H68 1.089
59 N 0.885 -1.635 -0.918  C55 1.468, H69 1.015, H70 1.017
60 H 1.949 -3.859 0.018  C54 1.090
61 H 1.190 -3.108 1.410  C54 1.090
The calculated molecules stop here =

Penny Blogs said...

Just cheat - most "big reads" have plot (and sometimes style) summaries on Wikipedia...

BreadBox said...

whether or not you read, you have lovely handwriting:-)


Ali said...

Cynthia, I have a travel guide to Bhutan that you could add to Goodreads before your final farewell....

Unknown said...

Oh Alice, you made me howl with laughter. I am all too familiar with your Goodreads concerns!

carrie said...

This is scary because we have almost identical handwriting!